(Given)
- - -
Computed powder diffractogram
Compound: Sr3La5
Radiation: Cu Kα, 1.54184 Å
Structure: a crystal structure in Alexandria, relaxed with PBE
No peak broadening, texture or thermal motion is included.

Crystal structure
a b c (Å): 7.892 7.892 5.376
angles (deg): 90.00 90.00 92.74
Fractional coordinates of all 8 atoms:
Sr  0.000  0.000  0.000
Sr  0.251  0.251  0.500
Sr  0.749  0.749  0.500
La  0.000  0.500  0.000
La  0.265  0.735  0.500
La  0.500  0.000  0.000
La  0.500  0.500  0.000
La  0.735  0.265  0.500

Main lines, by angle (5 to 70 degrees two-theta):
| d [Å] | 2θ (°) | intensity |
| --- | --- | --- |
| 3.179 | 28.07 | 100 |
| 2.856 | 31.32 | 18 |
| 2.723 | 32.90 | 17 |
| 2.688 | 33.34 | 16 |
| 1.705 | 53.77 | 15 |
| 1.647 | 55.83 | 14 |


For Li4AlTlAg2, a crystal structure in OQMD, relaxed with GGA-PBE gives the calculated X-ray diffraction stick pattern in this record (Cu Kα X-rays).
No peak broadening, texture or thermal motion is included.

Structural model:
```
data_Li4AlTlAg2
_chemical_formula_sum 'Li4 Al1 Tl1 Ag2'
_cell_length_a 4.5255
_cell_length_b 4.5255
_cell_length_c 6.5095
_cell_angle_alpha 90.00
_cell_angle_beta 90.00
_cell_angle_gamma 90.00
_space_group_name_H-M_alt 'P -4 m 2'
_space_group_IT_number 115
_space_group_name_Hall 'P -4 -2'
loop_
_atom_site_label
_atom_site_fract_x
_atom_site_fract_y
_atom_site_fract_z
_atom_site_occupancy
Li1 0.0000 0.0000 0.0000 1
Li2 0.0000 0.5000 0.2396 1
Li3 0.5000 0.5000 0.5000 1
Al1 0.5000 0.5000 0.0000 1
Tl1 0.0000 0.0000 0.5000 1
Ag1 0.0000 0.5000 0.7807 1
```

Largest 10 diffraction maxima, by angle, 2θ from 10° to 90°:
index  2theta  I_rel
0 0 1  13.6  15
1 0 0  19.6  25
1 0 1  23.9  100
1 1 1  31.1  26
1 0 2  33.9  16
1 1 2  39.5  61
2 0 0  39.8  32
1 0 3  46.4  15
2 1 1  47.0  32
3 1 2  72.1  20



For Li4AlZn2Ag, a crystal structure in OQMD, relaxed with GGA-PBE gives the calculated X-ray diffraction stick pattern in this record (Cu Kα X-rays).
No peak broadening, texture or thermal motion is included.

Structural model:
```
data_Li4AlZn2Ag
_chemical_formula_sum 'Li4 Al1 Zn2 Ag1'
_cell_length_a 4.3691
_cell_length_b 4.3691
_cell_length_c 6.1874
_cell_angle_alpha 90.00
_cell_angle_beta 90.00
_cell_angle_gamma 90.00
_space_group_name_H-M_alt 'P -4 m 2'
_space_group_IT_number 115
_space_group_name_Hall 'P -4 -2'
loop_
_atom_site_label
_atom_site_fract_x
_atom_site_fract_y
_atom_site_fract_z
_atom_site_occupancy
Li1 0.0000 0.0000 0.0000 1
Li2 0.0000 0.5000 0.2460 1
Li3 0.5000 0.5000 0.5000 1
Al1 0.0000 0.0000 0.5000 1
Zn1 0.0000 0.5000 0.7397 1
Ag1 0.5000 0.5000 0.0000 1
```

Largest 10 diffraction maxima, by angle, 2θ from 10° to 90°:
index  2theta  I_rel
0 0 1  14.3  14
1 0 0  20.3  17
1 0 1  24.9  97
1 1 1  32.4  13
2 0 0  41.3  100
2 1 1  48.9  45
2 2 0  59.8  16
3 0 1  65.9  17
3 1 2  75.3  31
4 0 0  89.7  10



For MgAlAg6, a crystal structure in OQMD, relaxed with GGA-PBE gives the calculated X-ray diffraction stick pattern in this record (Cu Kα X-rays).
No peak broadening, texture or thermal motion is included.

Structural model:
```
data_MgAlAg6
_chemical_formula_sum 'Mg1 Al1 Ag6'
_cell_length_a 5.7715
_cell_length_b 5.7715
_cell_length_c 4.7233
_cell_angle_alpha 90.00
_cell_angle_beta 90.00
_cell_angle_gamma 120.00
_space_group_name_H-M_alt 'P -6 m 2'
_space_group_IT_number 187
_space_group_name_Hall 'P -6 2'
loop_
_atom_site_label
_atom_site_fract_x
_atom_site_fract_y
_atom_site_fract_z
_atom_site_occupancy
Mg1 0.0000 0.0000 0.0000 1
Al1 0.3333 0.6667 0.5000 1
Ag1 0.0045 0.5023 0.0000 1
Ag2 0.3322 0.1661 0.5000 1
```

Largest 10 diffraction maxima, by angle, 2θ from 10° to 90°:
index  2theta  I_rel
1 0 1  26.0  20
1 1 0  31.0  8
2 0 0  35.9  24
0 0 2  38.1  27
2 0 1  40.9  100
2 0 2  53.4  15
2 2 0  64.6  16
2 0 3  70.7  18
2 2 2  77.5  19
4 0 1  79.3  13



For AlNiAgMo, a crystal structure in OQMD, relaxed with GGA-PBE gives the calculated X-ray diffraction stick pattern in this record (Cu Kα X-rays).
- - -

(Exercise)
Now search the listing above for the word "Cu" and transcribe each line that has it.

(Solution)
Radiation: Cu Kα, 1.54184 Å
For Li4AlTlAg2, a crystal structure in OQMD, relaxed with GGA-PBE gives the calculated X-ray diffraction stick pattern in this record (Cu Kα X-rays).
For Li4AlZn2Ag, a crystal structure in OQMD, relaxed with GGA-PBE gives the calculated X-ray diffraction stick pattern in this record (Cu Kα X-rays).
For MgAlAg6, a crystal structure in OQMD, relaxed with GGA-PBE gives the calculated X-ray diffraction stick pattern in this record (Cu Kα X-rays).
For AlNiAgMo, a crystal structure in OQMD, relaxed with GGA-PBE gives the calculated X-ray diffraction stick pattern in this record (Cu Kα X-rays).